Drink-driving charges – why you need immediate legal advice
Although a drink-driving case can sometimes seem cut and dried, it’s always best to have a solicitor advising you, even if you’re intending to plead guilty. By arguing your case in court, they can help to reduce the impact of charges on your life. Here we’ll detail what a drink-driving charge means and what a solicitor can do to help.
What is drink-driving?
Simply put, drink-driving is the offence of driving – or attempting to drive – while being unfit to drive because of alcohol. Even in small amounts, alcohol affects reaction times, making driving while over the drink-driving limit extremely dangerous.
That limit currently stands at 80mg of alcohol per 100ml of blood or more than 35 micrograms per 100ml of breath – in England and Wales. In Scotland it is lower: 50mg of alcohol per 100ml of blood. In some countries, such as Sweden, Norway and Poland the limit is even lower at 20mg.
If you’re suspected of drink-driving, police officers will take a preliminary breath test at the roadside, using a breathalyser. A positive reading may mean you’re over the limit and you will be taken to the police station to be tested on specialist equipment. While there, you’ll be asked to provide two more breath samples. If the highest of these two readings is 40 or under, you won’t be prosecuted. However, if you record a reading of more than 40, you’ll be charged. The legal limit is 35, but there is discretion to charge or not for readings between 35-40.
Drink-driving scenarios – how much can you drink?
One difficulty with drink-driving is that different people can reach the limit by drinking less than others. Alcohol affects everyone differently and is dependent upon factors such as your weight, sex, age, stress levels and what else you’ve consumed.
Many people assume they’re no longer over the drink-drive limit the morning after consuming alcohol. However, alcohol can still be in your system many hours after your last drink, particularly if you had a lot to drink.
**Molecular data, as found in the file:**
<<<
Molecular formula: C3H37ClO20Pt
Method: DFT, the ωB97M-V functional and the def2-TZVPD basis

Structure (XYZ):
```
62
Properties=species:S:1:pos:R:3:forces:R:3
Pt -1.437 -0.626 -1.389 0.3 0.2 0.7
Cl 1.694 -1.568 2.735 -1.3 1.9 -2.3
O 1.891 -0.142 2.773 0.8 1.2 0.5
O 0.318 -1.718 2.312 -1.4 -0.8 0.5
O 2.454 -2.099 1.667 1.5 -1.1 -0.2
O 1.928 -2.114 3.999 0.4 -1.2 1.3
C 0.233 2.686 -0.087 -0.1 0.9 1.1
C -0.136 1.293 0.425 0.7 1.0 -1.0
C -1.549 1.280 0.834 -2.3 0.1 2.1
O -0.079 0.432 -0.663 0.5 -1.7 -2.0
H 0.181 3.339 0.801 -0.3 0.0 -0.3
H -0.509 3.071 -0.825 0.7 -0.4 0.3
H 1.276 2.800 -0.369 0.0 -0.4 -0.6
H 0.680 0.911 1.053 -0.7 0.2 0.7
H -1.857 0.367 1.378 0.3 0.2 -0.3
H -2.204 1.384 -0.047 0.3 -0.1 0.0
H -1.892 2.119 1.465 0.6 -0.2 0.0
O -2.566 -2.342 -0.011 0.5 -0.5 0.4
H -1.885 -3.026 0.351 -1.0 1.2 -0.2
H -3.044 -1.889 0.729 0.7 -0.8 -0.4
O 3.667 3.269 -3.618 -1.2 0.1 1.1
H 4.330 3.034 -4.238 0.9 -0.5 -0.8
H 3.307 2.437 -3.262 0.3 0.4 -0.3
O -0.807 -4.158 1.053 0.0 -0.2 -0.3
H -0.728 -3.554 1.802 0.2 0.1 0.3
H 0.103 -4.389 0.826 -0.2 0.2 0.0
O -0.907 -3.197 -3.581 -0.8 -0.6 0.0
H -1.242 -4.077 -3.829 0.3 0.5 0.1
H 0.016 -3.187 -3.842 0.3 0.3 -0.2
O 3.487 0.996 0.618 -0.4 -0.3 -0.3
H 4.249 1.316 1.107 -0.1 0.1 0.3
H 2.868 0.614 1.273 0.6 0.1 -0.1
O -2.151 -2.336 2.891 -0.6 -0.3 -0.4
H -1.333 -1.918 3.162 0.6 0.4 0.1
H -2.803 -2.189 3.571 -0.2 0.0 0.3
O 4.161 -0.520 -2.646 0.6 -0.1 -0.5
H 3.944 -0.579 -1.716 -0.2 0.2 0.6
H 5.128 -0.594 -2.676 -0.4 0.1 0.0
O -4.673 -3.717 -1.757 1.3 0.9 1.6
H -3.922 -3.850 -1.086 -1.5 -0.1 -1.5
H -4.827 -4.469 -2.320 0.4 -0.5 0.1
O 0.789 2.650 5.120 1.8 -1.6 0.1
H 1.481 2.319 5.759 -1.2 0.8 -0.6
H 0.978 2.005 4.392 -0.6 0.7 0.5
O 4.719 3.076 2.636 0.0 0.3 0.1
H 4.767 3.908 2.148 0.0 -0.2 0.1
H 4.219 3.291 3.434 0.1 -0.1 -0.2
O -2.951 -1.419 -2.577 -0.8 0.7 0.6
H -3.637 -1.948 -2.110 0.4 0.0 -0.3
H -2.415 -1.990 -3.116 0.4 -1.1 -0.9
O 0.347 3.671 -4.601 -0.5 0.0 0.4
H -0.113 4.031 -3.820 0.5 -0.1 -0.6
H 0.994 4.327 -4.876 0.0 0.0 0.2
O -1.748 4.289 2.778 0.4 0.0 0.3
H -2.233 5.050 2.442 0.2 0.1 0.2
H -1.062 4.612 3.394 -0.6 -0.1 -0.5
O -5.320 -1.785 1.062 -0.6 -0.3 -0.2
H -5.646 -2.692 0.916 0.3 0.5 0.0
H -6.099 -1.232 0.878 0.5 -0.2 0.1
O 2.212 -1.911 -4.424 -0.5 1.0 -1.2
H 2.694 -2.293 -3.712 0.8 -0.2 0.9
H 2.656 -1.051 -4.587 -0.4 -0.8 0.4
```
Forces are in eV/Å.

The HOMO energy (spin up / spin down) comes out at -9.3 / -9.5 eV. The expectation value of S² is 2.008. As for the multiplicity: 3. The LUMO energy (spin up / spin down) comes out at -0.256 / -1.897 eV. The calculation puts the gap between HOMO and LUMO (spin up / spin down) at 9.077 / 7.582 eV. The value obtained for the maximum force is 3.23 eV Å⁻¹. The net charge is 0.

Molecular formula: C3H3AgLiO4
Method: DFT, the ωB97M-V functional and the def2-TZVPD basis

Structure (XYZ):
```
12
Properties=species:S:1:pos:R:3:forces:R:3
O 2.609 -0.654 1.562 -2.9 -0.7 -0.8
O 0.513 0.758 -0.488 0.2 0.3 0.0
C -0.663 1.311 -0.715 0.0 -0.7 0.4
>>>
Other people think it’s permissible to drive a car a short distance (such as on your street) while over the drink-drive limit. This is not the case, although it can be a mitigating factor, which could result in a more lenient sentence.
You can even be charged for drink-driving without being inside a car. You merely have to be ‘in charge of a motor vehicle’, making any interaction with your car risky.
What happens when you’ve been charged with drink-driving?
You’ll be kept at the police station until you’re sober enough to go home, unless you record a breathalyser reading of more than 120, in which case you may be kept in a cell to attend court the next day. Otherwise, you’ll be bailed to appear at a magistrates’ court a few days later or released pending further investigation if the readings were unclear or unknown.
If you plead guilty, your licence will immediately be taken away from you and you’ll be disqualified from driving.
What penalties can you face for drink-driving?
The penalty you receive will depend upon various factors, including what your alcohol reading was, whether you had passengers in the car and if you had an accident while drink-driving. Any previous history of drink-driving or driving-related offences will also go against you.
While you can be sent to prison, most first-time offenders are generally given a financial penalty, particularly if there are no aggravating factors that made the incident worse. The following are the maximum penalties for different drink-driving offences:
Being in charge of a vehicle while above the legal limit
[Next to the piece, the page also holds molecular data]
/*
(1)
The following is a quantum chemistry calculation of a molecular structure, C42H44P2Ru, from OMol25.

```
89
Properties=species:S:1:pos:R:3:lowdin_charge:R:1
H 4.089 -1.970 2.801 0.113
H 3.347 -2.797 0.583 0.097
C -0.124 3.675 -0.239 -0.265
H -3.311 7.508 5.752 0.140
H 0.337 2.140 3.296 0.115
C -3.140 7.330 4.689 0.035
H -0.413 -4.045 2.305 0.113
H 1.013 6.365 0.270 0.134
C 1.297 -6.068 0.007 -0.339
Ru -1.366 3.276 1.515 1.103
C 0.878 -3.943 -5.308 -0.086
C -0.205 -1.278 -2.965 -0.362
H 1.346 1.385 1.296 0.107
C -0.597 -5.106 -6.844 -0.053
C 2.000 -8.789 0.223 -0.053
C 2.693 -2.893 1.448 -0.080
C -3.014 6.023 4.208 0.051
H -2.252 -4.232 -3.983 0.108
C -0.362 0.849 -1.853 -0.087
H -2.932 1.623 2.630 0.003
C 0.213 4.232 2.838 -0.182
H -0.759 -5.631 -7.791 0.119
C -2.370 1.539 1.684 -0.236
C -1.653 -4.967 -5.930 -0.064
H 1.484 -4.680 -7.246 0.117
H 1.965 5.158 1.973 0.122
H 1.987 3.967 -0.080 0.117
C 1.790 -3.159 -2.486 -0.293
C 1.452 2.471 1.420 -0.185
H 2.279 -9.843 0.304 0.117
C -1.440 -4.330 -4.712 -0.102
C 1.451 -3.522 1.324 -0.397
H 3.196 -4.195 -1.169 0.101
C 0.982 -3.101 3.665 -0.066
H 1.867 -3.560 -5.065 0.096
C 3.100 -2.414 2.697 -0.061
H -1.751 0.629 1.686 0.001
H 1.486 2.412 -0.730 0.103
C -0.172 -3.807 -4.392 -0.376
C -0.558 1.487 -3.089 -0.049
H -0.365 1.410 -0.924 0.058
H -0.701 2.564 -3.130 0.104
H 0.314 -3.186 4.524 0.115
H -3.075 1.508 0.834 0.024
C -0.179 -0.521 -1.782 -0.094
P 0.851 -4.262 -0.233 1.085
H 2.562 -8.314 2.262 0.116
H 2.448 -2.676 -3.214 0.093
H -0.010 -1.001 -0.813 0.100
H 0.920 6.225 2.940 0.120
C -2.879 5.767 2.827 -0.242
H -0.424 6.771 1.203 0.082
C -2.817 8.173 2.449 0.034
C -3.030 8.418 3.810 -0.026
C 1.482 -8.288 -0.983 -0.062
C 0.915 5.401 2.209 -0.159
P 0.004 -3.063 -2.713 1.072
H -1.421 5.377 -0.380 0.104
H 1.932 -5.924 2.072 0.101
H -3.362 3.709 3.129 0.052
C 2.179 -3.850 -1.381 -0.313
C -2.946 4.341 2.328 -0.235
H -0.711 1.215 -5.227 0.118
H -2.711 9.019 1.766 0.142
H -3.576 4.296 1.417 0.079
C 1.124 -6.942 -1.082 -0.100
C 0.573 -3.591 2.426 -0.107
C 0.661 -4.583 -6.535 -0.058
H 1.367 -8.951 -1.843 0.115
C 1.798 -6.582 1.211 -0.075
H -2.564 6.715 0.889 0.123
H 2.576 -2.150 4.779 0.114
H -0.431 -1.260 -5.126 0.113
C -0.407 -0.663 -4.209 -0.058
H -3.063 5.168 4.886 0.143
C -0.568 0.723 -4.262 -0.054
C -2.731 6.863 1.962 0.020
H -3.103 9.438 4.190 0.126
C 2.155 -7.934 1.321 -0.056
C 2.251 -2.520 3.804 -0.059
C 0.502 2.887 2.513 -0.254
H -0.247 4.433 3.817 0.109
H -2.643 -5.368 -6.167 0.117
C 1.258 3.157 0.046 -0.189
C 0.237 5.939 0.926 -0.184
H -0.586 3.339 -1.169 0.073
C -0.593 4.941 0.191 -0.222
H 0.719 -6.556 -2.022 0.102
H 2.485 2.652 1.734 0.120
```

Summary:
Maximum force = 0.0460 Eh/bohr
LUMO (alpha / beta) = -4.95 / -9.32 eV
Total charge = +2
HOMO energy (alpha / beta) = -11.135 / -13.120 eV
2S+1 = 5
Electronic energy = -65405.207 eV

***

(2)
The following is a quantum chemistry calculation of 6 unconnected molecules or ions with the total composition C42H46BBrFN6O12S, from OMol25.

```
110
*/
- Fine of up to £2,500
- Up to three months’ imprisonment
- Potential driving ban
Driving or attempting to drive while above the limit
- Unlimited fine
- Up to six months’ imprisonment
- Driving ban for at least one year (three years if convicted twice in 10 years)
Causing death by careless driving when under the influence of drink
- Unlimited fine
- Life imprisonment
- Minimum of a two-year driving ban
- An extended driving test to get your licence back
It’s also an offence in itself if you fail to provide a specimen of breath for a breathalyser test, or if you refuse to provide blood or urine for analysis. You could receive up to six months’ in jail, an unlimited and a driving ban for a year.
Can you avoid getting a driving ban?
You may be able to reduce your ban (by a quarter) if you take a drink-drive rehabilitation scheme (DDRS) course. These courses are offered at the court’s discretion if you’re banned from driving for 12 months or more.
If you were in charge of a car while above the limit but didn’t actually drive it, there’s also a greater probability of avoiding a ban. Again, however, this is at the court’s discretion.
What other impacts do drink-driving charges have?
The impacts of drink-driving charges can be surprisingly far-reaching.
Of course, if there was a fatal or otherwise serious accident as a result of drink-driving, the consequences will be more distressing. Yet even if you’re stopped by the police without causing an accident, there could be repercussions that aren’t immediately apparent.
The obvious one is that a driving ban will probably cause you significant inconvenience. If you drive for work, your employer will see the drink-driving conviction on your licence and it’s likely that you’ll lose your job. Even if you don’t drive for a living though, employers can take a dim view of a conviction, while you’ll have to declare that conviction when applying for new jobs.
Whether you keep your licence or not, you can expect your car insurance costs to rise significantly. Depending upon the insurance company and the specific offence, you’ll have to declare the conviction to insurers for at least 3 years and possibly up to 11 years.
One consequence you may not expect is that a conviction for drink-driving makes travelling more complicated. Some countries might not let you in at all, while others, like the USA and Australia might make you go through a longer visa process.
What should you do if you’ve been charged with drink-driving?
The first step should always be to enlist the help of a specialist drink-driving solicitor as soon as possible. In the vast majority of cases, you’ll only be able to consult a solicitor after you’ve given your breath tests at the police station.
As with all crimes, pleading guilty early on in proceedings can reduce the penalties you face. If you have one present, a solicitor may recommend you plead guilty immediately after an over-the-limit breathalyser test result. This is another reason to seek legal representation as soon as you can.
A solicitor will detail the legal process after being charged, helping to prepare you for the possible outcomes and working to ensure the damage to your personal and professional lives is minimised.